Contents:
********
# Ba4BiPb3O12

A relaxed structure of Ba4BiPb3O12 (PBE-GGA, the Materials Project database).

The structure in POSCAR format:
```
Ba4BiPb3O12
1.0
5.350 -3.082 0.000
5.350 3.082 0.000
-3.482 0.000 10.123
Ba Bi Pb O
4 1 3 12
direct
0.123 0.123 0.371 Ba
0.377 0.377 0.126 Ba
0.623 0.623 0.874 Ba
0.877 0.877 0.629 Ba
0.500 0.500 0.500 Bi
0.000 0.000 0.000 Pb
0.251 0.251 0.752 Pb
0.749 0.749 0.248 Pb
0.142 0.641 0.361 O
0.143 0.644 0.857 O
0.156 0.156 0.906 O
0.346 0.346 0.594 O
0.356 0.857 0.143 O
0.359 0.858 0.639 O
0.641 0.142 0.361 O
0.644 0.143 0.857 O
0.654 0.654 0.406 O
0.844 0.844 0.094 O
0.857 0.356 0.143 O
0.858 0.359 0.639 O
```

Output
distance to the lowest polymorph of the same formula	0.0014	eV/atom
energy relative to the elements	-207.4	kJ/mol of atoms
M_tot	0.00	μB/f.u.
corrected total energy (MP2020 scheme)	-6.25	eV/atom

=====

1.
Here is crystalline Na2SrGe8O18 at its relaxed geometry from Materials Project. Energies are from PBE.

a b c (Å): 11.5957 11.5957 19.6086
angles (deg): 90.00 90.00 120.00
Space group P-3c1 (No. 165)
Inequivalent atoms, fractional coordinates:
Na (0.0068, 0.3371, 0.0373) (multiplicity 12)
Sr (0.0000, 0.3343, 0.2500) (multiplicity 6)
Ge (0.0000, 0.0000, 0.0000) (multiplicity 2)
Ge (0.0000, 0.0000, 0.2500) (multiplicity 2)
Ge (0.0050, 0.1777, 0.6266) (multiplicity 12)
Ge (0.1472, 0.4863, 0.6495) (multiplicity 12)
Ge (0.1546, 0.4898, 0.8933) (multiplicity 12)
Ge (0.3333, 0.6667, 0.0229) (multiplicity 4)
Ge (0.3333, 0.6667, 0.2730) (multiplicity 4)
O (0.0076, 0.4889, 0.8652) (multiplicity 12)
O (0.0613, 0.1539, 0.3086) (multiplicity 12)
O (0.0613, 0.1546, 0.0590) (multiplicity 12)
O (0.1043, 0.3224, 0.9205) (multiplicity 12)
O (0.1213, 0.3250, 0.6749) (multiplicity 12)
O (0.1764, 0.5803, 0.9684) (multiplicity 12)
O (0.1804, 0.5819, 0.2177) (multiplicity 12)
O (0.2411, 0.5126, 0.3296) (multiplicity 12)
O (0.2456, 0.5095, 0.5775) (multiplicity 12)

## Properties
Electronic total energy = -6.300 eV/atom
Magnetization = 0.00 Bohr magnetons per cell
Formation energy from the elements = -2230 meV per atom
V = 2283.34 Å³/cell


2.
Here is crystalline NaTaGeO5 at its relaxed geometry from Materials Project. Energies are from PBE.

a b c (Å): 7.0180 8.9912 7.5178
angles (deg): 90.00 115.36 90.00
Space group C2/c (No. 15)
Inequivalent atoms, fractional coordinates:
Na (0.0000, 0.1759, 0.2500) (multiplicity 4)
Ta (0.0000, 0.5000, 0.0000) (multiplicity 4)
Ge (0.0000, 0.1801, 0.7500) (multiplicity 4)
O (0.0000, 0.4366, 0.2500) (multiplicity 4)
O (0.0892, 0.2918, 0.6064) (multiplicity 8)
O (0.1974, 0.0572, 0.9050) (multiplicity 8)

## Properties
Electronic total energy = -7.620 eV/atom
Magnetization = 0.00 Bohr magnetons per cell
Formation energy from the elements = -2731 meV per atom
V = 428.67 Å³/cell


3.
Here is crystalline Na2GeTeO6 at its relaxed geometry from Materials Project. Energies are from PBE.

a b c (Å): 5.1841 5.1841 10.8224
angles (deg): 90.00 90.00 120.00
Space group P-31c (No. 163)
Inequivalent atoms, fractional coordinates:
Na (0.3333, 0.6667, 0.0404) (multiplicity 4)
Ge (0.3333, 0.6667, 0.7500) (multiplicity 2)
Te (0.0000, 0.0000, 0.2500) (multiplicity 2)
O (0.0553, 0.3388, 0.8520) (multiplicity 12)

## Properties
Electronic total energy = -5.548 eV/atom
Magnetization = 0.00 Bohr magnetons per cell
********

Assignment:
Your job: quote only the lines further above with the word "total" in them.

Solution:
corrected total energy (MP2020 scheme)	-6.25	eV/atom
Electronic total energy = -6.300 eV/atom
Electronic total energy = -7.620 eV/atom
Electronic total energy = -5.548 eV/atom